Contents
┌──
Computed, not measured: a 2-piece molecular cluster, CH2ClO2S2 overall at a distorted geometry, with ωB97M-V with the def2-TZVPD basis set.

Structure (XYZ):
```
8
Properties=species:S:1:pos:R:3:forces:R:3:lowdin_charge:R:1
C -2.330728 0.862483 0.252254 1.50 0.50 -0.83 -0.464
O 2.258246 -0.905900 -1.749323 -0.29 0.39 0.64 -0.544
O 2.137063 0.635629 0.188360 0.50 2.34 0.76 -0.526
S 2.320077 -2.141640 0.850751 0.03 -0.32 0.32 0.009
S 1.825623 -0.648502 -0.350866 0.22 -2.48 -1.72 0.020
Cl -1.134574 -0.369435 -0.093036 -1.54 0.88 0.41 0.512
H -3.104225 0.694503 0.998890 0.39 -0.03 -0.21 -0.018
H -1.971484 1.872859 -0.097033 -0.80 -1.27 0.63 0.010
```
Forces are in eV/Å.

Results
F_max = 0.0589 hartree/bohr
gap between HOMO and LUMO (alpha / beta) = 5.925 / 7.347 eV
total charge = -1
E_LUMO (alpha / beta) = 2.7 / 3.3 eV
total energy = -1446.30825 a.u.


Computed, not measured: a single C9H15NO2S2 molecule at a distorted geometry, with ωB97M-V with the def2-TZVPD basis set.

Structure (XYZ):
```
29
Properties=species:S:1:pos:R:3:forces:R:3:lowdin_charge:R:1
C -1.659656 1.228214 -1.000506 1.58 -3.13 -0.43 -0.121
C -3.723494 0.241867 0.361885 0.11 -0.57 -0.23 -0.711
C -2.769707 1.367737 -0.114541 -2.86 0.99 0.27 -0.330
C -2.247098 -1.195197 -1.605917 0.84 2.83 1.98 -0.400
C 2.827312 -0.705193 0.037293 1.05 -0.84 0.63 -0.218
C 2.288517 -0.110916 1.363727 -0.39 0.61 1.34 -0.201
C 2.393781 0.188627 -1.123275 0.20 1.62 0.29 -0.219
C 0.967198 -0.626737 1.958414 0.78 -0.91 -1.71 -0.208
C 0.879483 0.111762 -1.413464 1.64 -2.47 1.37 -0.257
N -0.141889 -0.484141 0.968816 2.39 0.16 -0.43 -0.142
O -4.603817 0.400743 1.151938 0.38 -0.05 -0.12 0.027
O 0.355173 2.009178 0.489336 0.24 -0.08 -0.06 -0.344
S -3.501259 -1.333489 -0.484531 -0.80 -0.77 1.07 0.916
S -0.157009 0.779704 -0.098654 -1.66 0.18 -1.48 0.816
H -2.666445 1.888262 0.839741 0.55 0.31 -0.13 0.130
H -3.571766 1.916903 -0.685736 0.76 0.10 0.46 0.139
H -2.588166 -1.320358 -2.555825 -0.82 0.29 -2.81 -0.031
H -1.325251 -1.673663 -1.463125 1.04 -0.63 0.76 -0.030
H 3.895594 -0.545697 0.099895 0.49 -0.18 0.00 0.095
H 2.727699 -1.822825 -0.026872 -0.41 0.99 -0.22 0.128
H 3.038205 -0.042028 2.281780 -1.26 -0.19 -2.24 0.159
H 1.876959 0.918259 1.121354 1.75 -0.75 0.67 0.071
H 2.558334 1.166260 -0.547928 -0.10 -0.60 -1.79 0.117
H 3.027685 0.243691 -2.123265 -1.32 -0.58 2.21 0.158
H 0.920817 -1.676469 2.263191 0.30 0.11 0.04 0.122
H 0.850912 0.009203 2.789241 -0.75 0.65 1.23 0.096
H 0.711060 0.631545 -2.271241 -1.02 1.97 -2.15 0.058
H 0.597606 -0.949455 -1.669188 0.01 1.08 0.78 0.114
H -0.960767 -0.615791 1.457449 -2.70 -0.14 0.69 0.064
```
Forces are in eV/Å.

Results
F_max = 0.0692 hartree/bohr
gap between HOMO and LUMO (alpha / beta) = 8.202 / 8.200 eV
E_LUMO (alpha / beta) = -0.2 / -0.2 eV
total energy = -1353.27268 a.u.


Computed, not measured: a 2-piece molecular cluster, C4H12 overall at a distorted geometry, with ωB97M-V with the def2-TZVPD basis set.

Structure (XYZ):
```
16
Properties=species:S:1:pos:R:3:forces:R:3:lowdin_charge:R:1
C 2.967978 -0.163853 0.178858 0.37 1.31 -2.36 -0.185
C 1.579931 0.194849 0.695201 -0.27 -0.76 -0.80 -0.186
H 2.835269 -0.973333 -0.619982 0.89 0.32 1.88 0.088
H 3.380275 0.629196 -0.504798 -0.52 -0.17 0.68 0.063
H 3.720817 -0.154050 0.964201 0.07 -1.24 -0.14 0.057
H 1.488476 0.437910 1.740464 0.25 0.05 0.38 0.056
H 1.015586 -0.722582 0.494785 -0.58 0.46 0.38 0.058
H 1.152764 1.009434 0.118601 -0.23 0.03 -0.03 0.053
C -2.536824 -0.342531 0.225903 0.85 0.29 1.36 -0.187
C -2.044271 0.281066 -1.081651 0.49 0.21 0.95 -0.171
H -1.838042 -0.223996 1.082532 0.21 -0.12 -0.74 0.058
H -3.410783 0.150883 0.678952 -0.18 -0.41 -0.76 0.065
H -2.638355 -1.409173 0.106666 -0.66 -0.34 0.12 0.052
H -1.382938 -0.394316 -1.641057 -0.68 -0.12 -0.10 0.062
H -1.339703 1.088566 -0.823308 -0.76 0.32 -0.38 0.053
H -2.950182 0.591930 -1.615366 0.76 0.17 -0.45 0.064
```
Forces are in eV/Å.

Results
F_max = 0.0529 hartree/bohr
gap between HOMO and LUMO = 12.348 eV
E_LUMO = 1.1 eV
└──
Brief
Next, find "0.020" and "single C9H15NO2S2" in the entries further up, and type out these two lines and those between.
Written answer
S 1.825623 -0.648502 -0.350866 0.22 -2.48 -1.72 0.020
Cl -1.134574 -0.369435 -0.093036 -1.54 0.88 0.41 0.512
H -3.104225 0.694503 0.998890 0.39 -0.03 -0.21 -0.018
H -1.971484 1.872859 -0.097033 -0.80 -1.27 0.63 0.010
```
Forces are in eV/Å.

Results
F_max = 0.0589 hartree/bohr
gap between HOMO and LUMO (alpha / beta) = 5.925 / 7.347 eV
total charge = -1
E_LUMO (alpha / beta) = 2.7 / 3.3 eV
total energy = -1446.30825 a.u.


Computed, not measured: a single C9H15NO2S2 molecule at a distorted geometry, with ωB97M-V with the def2-TZVPD basis set.